Back Down Memory Lane
The opening lines of Minnie Riperton’s iconic song go like this…
I stumbled on this photograph
It kinda made me laugh
It took me way back
Back down memory lane
Minnie was singing about an old love, and I guess I am too! The house that I packed up and put into storage at the end of summer last year, awaiting my new one to be completed. I used to say that I loved it so much because I was almost finished decorating it, HA!!! A decorator at heart is NEVER EVER finished decorating. We may be satisfied for a while, but then we’ll be inspired by something and off we go, another project born.

As I continue to wait for the completion of my house I have engulfed myself at times in all things home decor. Most times at night when I should be sleeping. At any given moment my mind will ponder things like… How long will it take them to do the back splash after I move in? How long will it take for the closet folks to do their install? What about those extra media built-ins? When should I schedule the electrician to put up the TV/sound items and hang the chandeliers? Do I really want to paint myself or should I throw that expense on top of the rest? Design and décor ideas freely moving about my brain, while weighing all the costs against my checkbook in my head, as I try to fall off to sleep! This is the inner “crazy” that is me when I feel in limbo and unsettled in my wait. I’ve always been like that. Like my “real life” is on hold and I’m just making do and getting by until I can get settled. Does anybody else feel that way? Or am I just “cray cray” all by myself? Lol! Now I know I’m not going to move in and voila! A week later my house is all set up and organized, everything right in the world once again. Even if I had an unlimited budget, I know that’s quite unrealistic. So I have an organized plan of attack when the time comes for implementation that I refer to… often, and it typically starts with a recollection of where I’m coming from. And this takes me back to house #2, that I call my “Big Girl House,” and how my decor desires and styles have changed / are changing.

• Unrelated to this page: records of crystals:
/*
Simulated XRD peak list
Compound: Li5NiO3F
Radiation: a wavelength of 1.5418 Å
Structure: DFT lattice parameters and positions (GGA+U)
Neutral-atom scattering factors, no anomalous dispersion.

Cell and atoms:
Unit cell a=6.734 b=6.734 c=4.718 alpha=101.37 beta=101.37 gamma=89.85
Atoms (fractional coordinates):
Li1 0.092 0.652 0.617
Li2 0.141 0.141 0.870
Li3 0.157 0.581 0.129
Li4 0.348 0.908 0.383
Li5 0.419 0.843 0.871
Li6 0.581 0.157 0.129
Li7 0.652 0.092 0.617
Li8 0.843 0.419 0.871
Li9 0.859 0.859 0.130
Li10 0.908 0.348 0.383
Ni1 0.374 0.374 0.632
Ni2 0.626 0.626 0.368
O1 0.105 0.399 0.751
O2 0.357 0.643 0.500
O3 0.399 0.105 0.751
O4 0.601 0.895 0.249
O5 0.643 0.357 0.500
O6 0.895 0.601 0.249
F1 0.145 0.855 0.000
F2 0.855 0.145 0.000

Most intense lines, 2θ = 5–70°, in order of falling intensity:
two_theta, I/Imax
26.0, 100.0
13.4, 65.6
41.9, 44.8
55.6, 16.8
55.7, 16.6
49.6, 15.4
27.2, 12.1
43.7, 11.9
19.6, 11.7
23.5, 11.7
29.8, 11.2
30.8, 10.9

=====

Simulated XRD peak list
Compound: Li4Ni2OF7
Radiation: a wavelength of 1.5418 Å
Structure: DFT lattice parameters and positions (GGA+U)
Neutral-atom scattering factors, no anomalous dispersion.

Cell and atoms:
Unit cell a=5.959 b=5.959 c=5.863 alpha=119.19 beta=119.19 gamma=60.22
Atoms (fractional coordinates):
Li1 0.000 0.000 0.000
Li2 0.025 0.025 0.529
Li3 0.411 0.411 0.682
Li4 0.634 0.634 0.399
Ni1 0.027 0.514 0.043
Ni2 0.514 0.027 0.043
O1 0.291 0.291 0.274
F1 0.239 0.776 0.260
F2 0.265 0.265 0.788
F3 0.268 0.803 0.798
F4 0.768 0.768 0.804
F5 0.775 0.775 0.278
F6 0.776 0.239 0.260
F7 0.803 0.268 0.798

Most intense lines, 2θ = 5–70°, in order of falling intensity:
two_theta, I/Imax
18.4, 100.0
18.3, 98.0
43.2, 79.8
35.3, 57.7
20.9, 50.6
42.5, 41.9
62.1, 38.0
35.3, 32.2
30.5, 26.4
62.3, 24.2
29.9, 19.2
35.0, 14.4

=====

Simulated XRD peak list
Compound: Li5Ni5O9F
Radiation: a wavelength of 1.5418 Å
Structure: DFT lattice parameters and positions (GGA+U)
Neutral-atom scattering factors, no anomalous dispersion.

Cell and atoms:
Unit cell a=5.017 b=5.818 c=6.635 alpha=102.86 beta=98.60 gamma=107.18
Atoms (fractional coordinates):
Li1 0.000 0.000 0.000
Li2 0.175 0.407 0.399
Li3 0.381 0.790 0.797
Li4 0.579 0.205 0.199
Li5 0.781 0.605 0.600
Ni1 0.183 0.902 0.397
Ni2 0.373 0.305 0.796
Ni3 0.588 0.704 0.192
Ni4 0.781 0.101 0.590
Ni5 0.989 0.512 0.994
O1 0.056 0.428 0.690
O2 0.077 0.981 0.697
O3 0.303 0.368 0.082
O4 0.309 0.847 0.108
O5 0.478 0.232 0.519
O6 0.479 0.778 0.495
O7 0.663 0.623 0.888
O8 0.879 0.575 0.290
O9 0.892 0.029 0.298
F1 0.684 0.141 0.907

Most intense lines, 2θ = 5–70°, in order of falling intensity:
two_theta, I/Imax
18.5, 100.0
43.0, 27.0
44.2, 24.3
44.5, 23.7
35.6, 17.6
36.4, 14.0
63.4, 14.0
36.7, 13.3
37.6, 11.6
48.0, 11.3
38.0, 10.7
63.7, 7.0

=====

Simulated XRD peak list
Compound: Li3NiOF3
Radiation: a wavelength of 1.5418 Å
Structure: DFT lattice parameters and positions (GGA+U)
Neutral-atom scattering factors, no anomalous dispersion.

Cell and atoms:
*/

Once upon a time in my decorating life, I was all about Tuscan and Old World décor. Everything had to be ornate and scroll-y, in deep, dark, rich colors and woods, with intricate design and detail. I wanted nothing more than to have large ceramic tiles running throughout my house, with medium-toned granite counter tops. As I looked back I had to ask myself, “where did this influence come from?” Then I remembered.And in retrospect, it doesn’t really make any sense. But the 2003 movie “Under the Tuscan Sun” starring Diane Lane was/is one of my all-time favorites… that’s it. I told you it didn’t really make any sense, but after I saw this movie, more than a few times, I became consumed with all things Tuscan-ish, lol!

I always used the dimmest possible light. I hated a lot of light. I kept all the lights dimmed as low as possible throughout. I wanted my home to have the feel of being like some Tuscan, or old world spa, for relaxation and meditation or something. And the swagged and draped fabric, let me tell you, I was obsessed! All over the house. I loved it. Especially in the master bedroom (below). Once when my mother was visiting, she told me not to add another piece of fabric in that house for fear that it would be a serious fire hazard!

See? More fabric. I shared my love for window “swagger,” in this May 2016 blog post. I’m a big fan of creating my own window treatments and fabric embellishments. I don’t know where that comes from. Oh wait, yes I do. Budget limitations!!! You learn how to create your vision when you’re working with limited funds… or you enlist the help of someone who can do it for you with your limited funds, right? I carried my drape and puddle obsession on through to the guest room as well… oh dear. You can check out how items in this room were re-purposed (another of my favorite decor moves) in this February 2016 blog post here.

And then there’s my favorite room in the house, the formal dining room. Of course, the room that was used the least.

Look at all that fabric. Wow. It does look like a fire hazard! It’s funny how you can see your decor taste change over time, and how as you’re exposed to new things, like Pinterest and Instagram, you come to know what it is that makes you happy about a room. Five years ago I would’ve never thought that I’d be this enthralled with bright, white, and sheer colors and tones. And I love the sound of water. I was headed in this open, light, bright and airy direction towards the end of my tenure in this house, as I turned the third bedroom into an office a few months before I moved. This not so great picture doesn’t really do it justice, but I thoroughly enjoyed this room the most in those last days.

I would say now that my décor style now is more of a casual-elegant, Santa Barbara-ish, sort-of beachy, glamorous? Soooo, I don’t know what it is, lol!!! I just know I want it as light and bright as possible. I’m really considering all-white since it’s a smaller, open space… Voice inside my head gasps and says, “white walls, oh say it ain’t so!” No more rod iron pieces and draped fabric everywhere, with 15-watt lighting all over the house.

But we’ll see. Who knows what this space will end up looking like once I get in there. Thanks for taking the ride back down memory lane with me. See you next time!